Page 44 of Let Me Love You
With a laugh, he reaches over and squeezes my knee. “Look at you. Acting like an adult and shit.”
“Gee. Thanks.”
After putting the location for the first house into the GPS, we talk about the Colt and Ashlyn drama for a little while. He pulls up to a little three-bedroom house a bit later. It’s…cute. Definitely needs a little elbow grease, but there were plenty of worse options on the MLS, so I’m gonna consider it a win.
“This is it?” Theo asks, pulling up to the curb. He stares out the windshield but doesn’t bother to put the car in park as he examines the pink stucco and cracked sidewalk.
“Uh, yes?” I answer.
He turns to me with a look screaming I’ve sprouted a second head. “Do you want a fixer-upper?”
“It’s not a fixer-upper,” I lie as I take in the missing shutters and ribbon of material flapping in the wind from the shredded window screens. To be fair, I didn’t exactly know our budget and didn’t want to make any assumptions, but this one isn’t too bad.
Is it?
Theo laughs and looks out the windshield again. “So, what would you call this?”
“Umm…quaint?” I offer.
He laughs a little harder. “Is this what you want? This piece of shit?”
“Don’t get me wrong, Baby Thorne. You know I love you and will do anything for you, including moving into a place like this if your goal is to fix it up and shit. But if we’re gonna get married one day, we might need to raise your standards a bit.”
My lips part, and I blink slowly, convinced I’ve misheard him.
“What?” he asks when I’ve been quiet too long.
“Did you just say the M word?”
“I believe I did, yes.”
My heart skips a beat, and I try to keep myself from jumping to the wrong conclusion. “You wanna marry me someday?”
“We’re buying a house together.”
“Well, yeah. But I thought—” My mouth snaps closed as a realtor climbs out of the car parked behind us. No idea how long it was there. I’ve been a bit distracted.
“Thought what?” Theo pushes.
“I thoughtyouwere buying this house. Notwe.”
“I dunno? Because it’s your money, and—”
“I’m gonna stop you right there.”
I suck my teeth between my lips, unsure what to say. His wrist rests against the top of the steering wheel, and his legs are spread wide as he gives me a look, turning my insides into goo.
(Next to the piece, the page also holds data records)
____________
A plane-wave DFT calculation with PBE-GGA was carried out for a relaxed Dy3GaC crystal.

Computed properties:
VASP energy: -4.03 eV per atom

Cell lengths 5.301, 5.301, 5.301 Å; angles 90.00, 90.00, 90.00 degrees
Atoms (fractional coordinates):
Ga  0.500  0.500  0.500
Dy  0.000  0.500  0.500
Dy  0.500  0.000  0.500
Dy  0.500  0.500  0.000
C  0.000  0.000  0.000

***

A plane-wave DFT calculation with PBE-GGA was carried out for a relaxed Dy5Ge3C crystal.

Computed properties:
VASP energy: -5.85 eV per atom

Cell lengths 6.442, 8.519, 8.540 Å; angles 119.92, 90.00, 90.00 degrees
Atoms (fractional coordinates):
Dy  0.000  0.333  0.666
Dy  0.000  0.667  0.334
Dy  0.500  0.333  0.666
Dy  0.750  0.778  0.777
Dy  0.750  0.221  0.000
Dy  0.250  0.779  0.000
Dy  0.500  0.667  0.334
Dy  0.250  0.222  0.223
Dy  0.750  0.001  0.223
Dy  0.250  0.999  0.777
Ge  0.250  0.593  0.593
Ge  0.249  0.408  0.000
Ge  0.750  0.407  0.407
Ge  0.250  0.000  0.407
Ge  0.750  0.000  0.593
Ge  0.749  0.592  0.000
C  0.000  0.000  0.000
C  0.500  0.000  0.000

***

A plane-wave DFT calculation with PBE-GGA was carried out for a relaxed DyH2C2SNO9 crystal.

Computed properties:
VASP energy: -6.55 eV per atom

Cell lengths 8.702, 6.609, 15.197 Å; angles 66.97, 90.00, 90.00 degrees
Atoms (fractional coordinates):
O  0.617  0.265  0.282
O  0.500  0.264  0.488
O  0.555  0.210  0.830
O  0.708  0.670  0.627
O  0.104  0.347  0.198
O  0.270  0.040  0.533
O  0.896  0.653  0.802
O  0.770  0.960  0.967
O  0.071  0.802  0.472
O  0.396  0.347  0.698
O  0.500  0.736  0.512
O  0.292  0.330  0.373
O  0.061  0.393  0.660
O  0.883  0.265  0.782
O  0.792  0.670  0.127
O  0.571  0.198  0.028
O  0.256  0.417  0.514
O  0.561  0.607  0.840
O  0.730  0.960  0.467
O  0.000  0.736  0.012
O  0.230  0.040  0.033
O  0.000  0.264  0.988
O  0.604  0.653  0.302
O  0.445  0.790  0.170
O  0.756  0.583  0.986
O  0.429  0.802  0.972
O  0.744  0.583  0.486
O  0.929  0.198  0.528
O  0.383  0.735  0.718
O  0.208  0.330  0.873
O  0.117  0.735  0.218
O  0.244  0.417  0.014
O  0.439  0.393  0.160
O  0.939  0.607  0.340
O  0.055  0.790  0.670
O  0.945  0.210  0.330
Dy  0.769  0.331  0.917
Dy  0.731  0.331  0.417
Dy  0.269  0.669  0.583
Dy  0.231  0.669  0.083
N  0.164  0.954  0.813
N  0.336  0.954  0.313
N  0.664  0.046  0.687
N  0.836  0.046  0.187
H  0.942  0.043  0.568
H  0.558  0.043  0.068
H  0.977  0.728  0.463
H  0.477  0.272  0.037
H  0.442  0.957  0.932
H  0.523  0.728  0.963
H  0.023  0.272  0.537
H  0.058  0.957  0.432
C  0.975  0.662  0.734
C  0.473  0.612  0.776
C  0.025  0.338  0.266
C  0.527  0.388  0.224
C  0.475  0.338  0.766
C  0.973  0.388  0.724
C  0.027  0.612  0.276
C  0.525  0.662  0.234
S  0.670  0.736  0.526
S  0.330  0.264  0.474
S  0.170  0.264  0.974
S  0.830  0.736  0.026

=====

1.
First-principles (PBE with a Hubbard U) data for a relaxed K2Be2NiH6F8 crystal, as listed in Materials Project.

Computed properties:
M_tot (μB per formula unit): 0.00
____________
“You gonna be my wife one day, Blake?”
“You know, for someone so hellbent on telling everyone Macklin’s your future-brother-in-law, and I’m gonna be your husband someday,” he notes, “you sure as shit are looking squeamish over there.”
“When I say it, it’s…” I bite my bottom lip, and he grabs my throat, dragging me toward him.